Ionic Collisions and Clusters

**Records of molecules, as found in the file**
~~~
20
Properties=species:S:1:pos:R:3:forces:R:3 method="wB97M-V/def2-TZVPD" homo_energy_ha="-0.712 / -0.706" spin_multiplicity=2 s2=0.759 total_charge=+2 gap_ha="0.3382 / 0.1648" e_lumo_ev="-10.164 / -14.726"
O 0.5704 -1.0030 -2.7790 -1.13 -1.29 -0.74
C 0.6000 -0.8368 -1.5895 2.71 4.00 2.04
O 1.7780 -0.3445 -1.1111 0.10 -1.72 -2.85
C -0.5047 -0.3825 -0.6243 -2.09 0.19 0.02
C -0.2758 0.9734 0.1069 5.68 -1.99 1.36
C -1.4654 1.7962 0.2311 -2.39 -0.84 -1.38
N -0.8553 -1.5138 0.3612 -0.46 2.30 1.14
H 2.3706 -0.3303 -1.9427 0.02 0.15 1.63
H -1.3223 -0.0577 -1.2971 -0.38 -1.41 0.35
H 0.7522 1.4335 -0.3499 -2.70 -0.46 1.15
H 0.1619 0.5118 1.1441 -0.69 1.62 -1.91
H -1.3453 2.7796 0.0274 1.53 3.39 -0.41
H -1.8842 1.8494 1.2166 -0.62 -0.71 0.53
H -2.2277 1.6979 -0.6036 0.29 -0.89 1.16
H -1.3589 -2.1714 -0.2010 -0.47 -1.38 0.13
H -1.5561 -1.1075 1.1421 1.90 -1.13 -1.97
H 0.0337 -1.8865 0.8244 -1.20 0.47 -0.38
H 2.4681 -0.0376 1.1091 -0.59 -1.12 2.00
H 2.2290 -0.8342 2.6268 -0.58 1.27 -2.93
O 1.8317 -0.5358 1.7086 1.07 -0.46 1.05

19
Properties=species:S:1:pos:R:3:forces:R:3 method="wB97M-V/def2-TZVPD" homo_energy_ha=-0.085 total_charge=-1 gap_ha=0.2107 e_lumo_ev=3.430
C 0.2406 0.9522 0.6781 1.02 1.04 -0.79
C 1.6644 0.8618 0.0148 -0.76 -0.31 2.07
S 1.9407 2.3926 -0.7735 0.55 1.34 -1.68
C -0.3665 -0.2796 1.2072 -1.83 -0.24 3.08
N -0.9693 -1.1571 0.2062 0.71 0.61 -1.19
C -0.1624 -2.2347 -0.2584 1.01 -2.90 -0.83
H -0.4950 1.2345 -0.0943 0.56 0.75 0.00
H 0.3651 1.7950 1.4017 -0.59 -0.75 -0.38
H 2.4551 0.8395 0.7785 -0.47 -0.33 0.54
H 1.8078 -0.0979 -0.4566 -0.18 -0.30 -1.11
H -1.3128 -0.0422 1.8198 1.49 0.24 -0.27
H 0.3438 -0.7404 1.9616 -0.84 -0.41 -1.15
H -1.1937 -0.6018 -0.6352 0.15 0.10 0.84
H -0.8611 -3.1636 -0.3033 1.57 0.97 0.03
H 0.3438 -2.1582 -1.2818 -0.87 0.31 1.10
H 0.7131 -2.4191 0.4274 -1.10 -0.07 -0.45
H -2.6150 -1.9592 -0.1661 3.23 1.78 0.87
H -4.0949 -1.4253 -0.2888 0.22 0.91 0.08
O -3.4975 -2.1551 -0.2602 -3.90 -2.73 -0.73

19
Properties=species:S:1:pos:R:3:forces:R:3 method="wB97M-V/def2-TZVPD" homo_energy_ha=-0.532 total_charge=+1 gap_ha=0.3881 e_lumo_ev=-3.918
C 2.8406 1.1559 -0.0432 1.70 -3.67 3.29
C -2.2561 0.9225 1.0153 1.57 -0.30 1.75
C 1.5971 0.3426 0.2337 -2.32 0.19 1.96
C -0.4332 -1.5126 -0.8255 0.12 1.58 -0.96
N -1.1676 -1.9014 -1.8527 1.63 0.78 0.26
O -0.8458 -1.8440 0.3266 0.36 0.25 3.35
S 0.9129 -0.5015 -1.2023 0.55 -0.52 -1.52
H 3.0457 1.6379 0.9773 0.16 -0.68 -1.59
H 3.6465 0.4009 -0.3347 -0.61 1.60 0.34
H 2.6616 1.8824 -0.7207 -0.31 2.24 -2.38
H -2.3985 -0.1116 1.1779 -0.61 -0.96 0.44
H -1.2248 1.0746 0.8231 1.02 0.26 -0.96
H -2.8947 1.3070 0.3278 -1.59 0.95 -2.45
H 0.8022 1.0787 0.4388 0.25 -0.28 0.36
H 1.6524 -0.3422 1.1277 0.34 0.58 -1.01
H -2.3734 1.5198 1.8820 -0.54 0.15 1.28
H -1.9830 -2.4184 -1.7873 -1.70 -1.40 0.86
H -1.1437 -1.3624 -2.6765 0.59 0.50 -1.17
H -0.4383 -1.3282 1.1127 -0.61 -1.25 -1.84

19
~~~

The Rochester Reaction Dynamics Group

Gas Phase Ion Chemistry - Dynamics and Spectroscopy

Sketch by Professor Y. T. Lee

The research of the Farrar group focuses on the reaction dynamics and photochemistry of ionic species. The objectives of these studies are to elucidate the reactivity of isolated gas phase species important in combustion, atmospheric and interstellar chemistry, and to understand the transition from the gas phase toward the condensed phases through size-dependent properties of mass-selected cluster ions. The research employs the techniques of molecular beams, mass spectrometry, laser spectroscopy, and ab initio quantum chemistry calculations.

A long-standing interest of the group is in elucidating the dynamics of low energy ion-molecule reactions using crossed ion and molecular beams. The conventional approach to learning about collision dynamics is to measure reaction product distributions in velocity space coordinates in the center of mass frame of reference. A typical set of data for the OD- reaction products formed in collisions of O- + D2 at 1.20 eV is shown here. The loci of velocity space points corresponding to individual product vibrational states are circles with a common origin at the system center of mass velocity. The next figure shows a complete representation of the center of mass distribution for this system, shown as a three-dimensional axonometric mountain plot, and as a color contour map. Results like these provide incisive tests of ab initio potential energy surfaces and quantum dynamics.

Our work is now focused on applying the method of velocity map imaging to crossed beam studies of ionic reactions important in planetary atmospheres and in interstellar clouds. A recent publication from our group has reported an imaging study of the charge transfer and bond formation reactions in the C+ + NH3 reactive system, important in molecular clouds. We have also completed studies of dissociative charge transfer and bond formation in the systems N+ + CH4 and N2+ + CH4, which initiate ion processing in the atmosphere of Saturn's moon Titan. Our most recent work has been with the reactions of ions with free radicals. We have completed a study of the hydrogen atom transfer and charge transfer reactions of H3+ with CH3 and carbon-carbon bond formation reactions of C+ with the allyl radical, C3H5.

The group has also worked in the area of cluster ion spectroscopy, probing the solvation process through electronic transitions of metal ions surrounded by variable numbers of solvent molecules. These studies have provided insight into the closely-intertwined processes of metal oxidation, electron transfer, and electronic to vibrational energy transfer.